Chores and Duties... Life in Christian County, Kentucky...
_Misplaced data records_
********
Entry from Alexandria via LeMat-Bulk: a crystal of GeTe2Mo relaxed with PBEsol (meta-GGA SCAN).

Cell: 3.3618 3.3618 29.0175 Å, 90.00 90.00 120.00°
Last column: nearest neighbours and their distance in Å.
Fractional coordinates of all 12 atoms:
Ge1 0.0000 0.0000 0.0000  2 Te 2.94
Ge2 0.3333 0.6667 0.6667  2 Te 2.94
Ge3 0.6667 0.3333 0.3333  2 Te 2.94
Te1 0.0000 0.0000 0.1014  3 Mo 2.71, 1 Ge 2.94
Te2 0.0000 0.0000 0.8986  3 Mo 2.71, 1 Ge 2.94
Te3 0.3333 0.6667 0.5653  3 Mo 2.71, 1 Ge 2.94
Te4 0.3333 0.6667 0.7681  3 Mo 2.71, 1 Ge 2.94
Te5 0.6667 0.3333 0.2319  3 Mo 2.71, 1 Ge 2.94
Te6 0.6667 0.3333 0.4347  3 Mo 2.71, 1 Ge 2.94
Mo1 0.0000 0.0000 0.5000  6 Te 2.71
Mo2 0.3333 0.6667 0.1667  6 Te 2.71
Mo3 0.6667 0.3333 0.8333  6 Te 2.71

Calculated values
The calculation puts the uncorrected formation energy at 0.87 eV per formula unit.

Entry from Alexandria via LeMat-Bulk: a crystal of GeTe2Mo relaxed with PBEsol (meta-GGA SCAN).

Cell: 3.1115 3.1115 31.6494 Å, 90.00 90.00 120.00°
Last column: nearest neighbours and their distance in Å.
Fractional coordinates of all 12 atoms:
Ge1 0.0000 0.0000 0.0000  6 Ge 3.11, 6 Te 3.18
Ge2 0.3333 0.6667 0.6667  6 Ge 3.11, 6 Te 3.18
Ge3 0.6667 0.3333 0.3333  6 Ge 3.11, 6 Te 3.18
Te1 0.0000 0.0000 0.4161  1 Mo 2.65
Te2 0.0000 0.0000 0.5839  1 Mo 2.65
Te3 0.3333 0.6667 0.0828  1 Mo 2.65
Te4 0.3333 0.6667 0.2505  1 Mo 2.65
Te5 0.6667 0.3333 0.7495  1 Mo 2.65
Te6 0.6667 0.3333 0.9172  1 Mo 2.65
Mo1 0.0000 0.0000 0.5000  2 Te 2.65
Mo2 0.3333 0.6667 0.1667  2 Te 2.65
Mo3 0.6667 0.3333 0.8333  2 Te 2.65

Calculated values
The calculation puts the uncorrected formation energy at 3.51 eV per formula unit.

Entry from Alexandria via LeMat-Bulk: a crystal of Ti2Ge2Mo relaxed with PBEsol (meta-GGA SCAN).

Cell: 6.6057 6.6057 3.4899 Å, 90.00 90.00 90.00°
Last column: nearest neighbours and their distance in Å.
Fractional coordinates of all 10 atoms:
Ti1 0.1703 0.3297 0.0000  6 Ge 2.53-2.67
Ti2 0.3297 0.8297 0.0000  6 Ge 2.53-2.67
Ti3 0.6703 0.1703 0.0000  6 Ge 2.53-2.67
Ti4 0.8297 0.6703 0.0000  6 Ge 2.53-2.67
Ge1 0.1331 0.6331 0.5000  1 Ge 2.49, 6 Ti 2.53-2.67, 2 Mo 2.58
Ge2 0.3669 0.1331 0.5000  1 Ge 2.49, 6 Ti 2.53-2.67, 2 Mo 2.58
Ge3 0.6331 0.8669 0.5000  1 Ge 2.49, 6 Ti 2.53-2.67, 2 Mo 2.58
Ge4 0.8669 0.3669 0.5000  1 Ge 2.49, 6 Ti 2.53-2.67, 2 Mo 2.58
Mo1 0.0000 0.0000 0.5000  4 Ge 2.58
Mo2 0.5000 0.5000 0.5000  4 Ge 2.58

Calculated values
Its formation energy is -0.648 eV per atom.

Entry from Alexandria via LeMat-Bulk: a crystal of GeMoW3 relaxed with PBEsol (meta-GGA SCAN).

Cell: 4.4970 4.4970 4.4970 Å, 90.00 90.00 90.00°
Last column: nearest neighbours and their distance in Å.
Fractional coordinates of all 5 atoms:
Ge1 0.0000 0.0000 0.0000  6 W 2.25
Mo1 0.5000 0.5000 0.5000  12 W 3.18
W1 0.0000 0.0000 0.5000  2 Ge 2.25
W2 0.0000 0.5000 0.0000  2 Ge 2.25
W3 0.5000 0.0000 0.0000  2 Ge 2.25

Calculated values
Its formation energy is 1.872 eV per atom.
********
_So much for the data records_

<<<
(1)
! FeHIrI2 PBE optimized geometry; values from VASP
&SYSTEM
  ibrav = 0, nat = 5, ntyp = 4
/
ATOMIC_SPECIES
Fe 55.84 Fe.upf
H 1.01 H.upf
Ir 192.22 Ir.upf
I 126.90 I.upf
CELL_PARAMETERS angstrom
5.327 0.000 0.000
0.000 5.327 0.000
0.000 0.000 4.607
ATOMIC_POSITIONS crystal
Fe 0.000 0.000 0.000
H 0.500 0.500 0.500
Ir 0.000 0.000 0.500
I 0.000 0.500 0.000
I 0.500 0.000 0.000
! - calculated volume (Å³/atom) = 26.15
! - space-group type = P4/mmm, No. 123
! - DFT total energy (Ry per atom) = -0.24007

=====

(2)
! KLiY PBE optimized geometry; values from VASP
&SYSTEM
  ibrav = 0, nat = 3, ntyp = 3
/
ATOMIC_SPECIES
K 39.10 K.upf
Li 6.94 Li.upf
Y 88.91 Y.upf
CELL_PARAMETERS angstrom
0.000 3.953 3.953
3.953 0.000 3.953
3.953 3.953 0.000
ATOMIC_POSITIONS crystal
K 0.000 0.000 0.000
Li 0.750 0.750 0.750
Y 0.500 0.500 0.500
! - calculated volume (Å³/atom) = 41.19
! - E_form (eV/f.u.) = 2.3
! - space-group type = F-43m, No. 216
! - DFT total energy (Ry per atom) = -0.17601
! - energy relative to the lowest polymorph listed for this composition (meV/atom) = 444

=====

(3)
! PbBr PBE optimized geometry; values from VASP
&SYSTEM
  ibrav = 0, nat = 6, ntyp = 2
/
ATOMIC_SPECIES
Pb 207.20 Pb.upf
Br 79.90 Br.upf
CELL_PARAMETERS angstrom
6.830 0.000 0.000
-3.415 5.915 0.000
0.000 0.000 4.912
ATOMIC_POSITIONS crystal
Pb 0.000 0.581 0.000
Pb 0.419 0.419 0.000
Pb 0.581 0.000 0.000
Br 0.000 0.323 0.500
Br 0.323 0.000 0.500
Br 0.677 0.677 0.500
! - calculated volume (Å³/atom) = 33.08
! - space-group type = P-62m, No. 189
! - formation energy without anion corrections (meV per atom) = -479.0
! - DFT total energy (Ry per atom) = -0.23296

=====

(4)
! LaZn2InRh PBE optimized geometry; values from VASP
&SYSTEM
  ibrav = 0, nat = 5, ntyp = 4
/
ATOMIC_SPECIES
La 138.91 La.upf
Zn 65.41 Zn.upf
In 114.82 In.upf
Rh 102.91 Rh.upf
CELL_PARAMETERS angstrom
4.827 0.000 0.000
0.000 4.827 0.000
0.000 0.000 5.040
ATOMIC_POSITIONS crystal
La 0.000 0.000 0.000
Zn 0.000 0.500 0.500
Zn 0.500 0.000 0.500
In 0.500 0.500 0.000
Rh 0.500 0.500 0.500
! - calculated volume (Å³/atom) = 23.48
! - E_form (eV/f.u.) = -1.6
! - space-group type = P4/mmm, No. 123
! - DFT total energy (Ry per atom) = -0.28169
! - energy relative to the lowest polymorph listed for this composition (meV/atom) = 0
>>>
Sticker each voter received
at the election Tuesday
I read an article in the newspaper a month or two ago that said poll workers were needed, and I decided I'd try it. I filled out some very simple paperwork at the county clerk's office and was hired.
A few weeks ago, I went to a class about being a poll worker. A man from the Kentucky Secretary of State's office taught it. It was detail intensive, and he said many times, "We don't want to see your name in the newspaper."
The class frightened me a little. I was especially worried about getting the machines set up properly -- one of my responsibilities as an election judge. We were shown how to do it in the class, but we could only watch. There were too many in the class for us to actually practice doing it.
Yesterday I worked in an election for the first time ever. I didn't sleep very well the night before. I got up about 4:00 a.m. and arrived at the polling place at 5:15. The other workers arrived before long and we started getting things set up.

Carefully following the instruction sheets given to us at the class, the other judge and I opened the two machines for voting without too much trouble. One was an old-style machine with curtains that is being gradually phased out, and one was a new machine called an E-slate (pictured at right.)
At 6:00 a.m., we had several voters waiting to come in and several more came in before 8:00 a.m. Then the trickle of voters slowed down to a drip, and the day went very slowly. We had another small rush from about 5:00 p.m. until the doors were finally closed at 6:00 p.m.
The other judge and I had to set the machine for the correct party every time someone voted. Since it was so slow, we tried to get as many people as possible to use the new machine. We had plenty of time to show them how to twirl the dial to make a selection and then press "Enter" to record it.
It was a primary election for Kentucky state officials. The voter turnout all over the state was very low. Where I worked, we had about 13% of the registered voters in the precinct. It's too bad about the apathy, but I was thankful that it wasn't very busy since it was my first poll-worker experience.
I had a book of Willa Cather short stories with me, and I read "A Death in the Desert" and "Neighbour Rosicky" during the slow spells. (I had read them both before, but I enjoyed the re-read.)
The other judge (a man) also brought a book, and the clerk and the sheriff (two ladies) talked all day. They had been in the same class in high school about fifty years ago, and they had a lot to catch up on.
I was also nervous about shutting down the machines, running the tapes, removing the last seals, and filling out the reports, but we followed the directions, and I haven't heard anything yet about us not doing it right -- or seen our names in the newspaper!
After we got everything packed up at the voting place, the other judge and I had to take everything except the voting machines to the courthouse in Hopkinsville, turn it all in, and sign another paper.
We were told at the class that there would probably be a Democrat run-off election in June for the governor's race. However, a candidate (Steve Beshear) did get over 40% of the vote, so a run-off is not required, and the next election will be in November.
EAC - Become a poll worker. This link gives a contact number for poll worker information in all 50 U.S. states.